(Work order)
The reader should search the contents underneath for the word "angle" and copy each line that has it.

(File)
********
This entry pairs a crystal structure of Th8GeIr3Se4 with its calculated powder X-ray diffraction pattern. Radiation: Cu Kα X-rays. Structure: DFT lattice parameters and positions (PBE).

Most intense lines, 2θ from 10° to 90°, by angle:
12.35 deg, d 7.166, I = 12
25.93 deg, d 3.436, I = 12
29.72 deg, d 3.006, I = 100
41.84 deg, d 2.159, I = 37
43.21 deg, d 2.094, I = 37
53.31 deg, d 1.719, I = 24
61.71 deg, d 1.503, I = 13
69.00 deg, d 1.361, I = 16
70.95 deg, d 1.328, I = 19
78.30 deg, d 1.221, I = 12

Structural model:
a = 8.645 Å, b = 8.645 Å, c = 8.645 Å
α = 57.95°, β = 57.95°, γ = 57.95°
Fractional coordinates of all 16 atoms:
Th: 0.234 0.747 0.747
Th: 0.239 0.239 0.239
Th: 0.253 0.253 0.766
Th: 0.253 0.766 0.253
Th: 0.747 0.234 0.747
Th: 0.747 0.747 0.234
Th: 0.761 0.761 0.761
Th: 0.766 0.253 0.253
Ge: 0.500 0.500 0.500
Ir: 0.000 0.000 0.500
Ir: 0.000 0.500 0.000
Ir: 0.500 0.000 0.000
Se: 0.000 0.000 0.000
Se: 0.000 0.500 0.500
Se: 0.500 0.000 0.500
Se: 0.500 0.500 0.000

----------

The following is a calculated PXRD pattern of RbCrAsO4. It was derived from a cell relaxed with PBE+U, using Cu Kα, 1.54184 Å.
No peak broadening, texture or thermal motion is included.

Atomic structure:
abc: 5.620 5.870 7.548
angles: 90.00 106.95 90.00
Fractional positions:
Rb: 0.207 0.250 0.437
Rb: 0.793 0.750 0.563
Cr: 0.276 0.250 0.956
Cr: 0.724 0.750 0.044
As: 0.247 0.750 0.150
As: 0.753 0.250 0.850
O: 0.023 0.750 0.937
O: 0.056 0.750 0.294
O: 0.451 0.523 0.177
O: 0.451 0.977 0.177
O: 0.549 0.023 0.823
O: 0.549 0.477 0.823
O: 0.944 0.250 0.706
O: 0.977 0.250 0.063

The 10 most intense peaks (2θ from 15° to 90°), sorted by position:
Position (°2θ)  I/Imax  index
19.49  44  0 1 1
23.16  49  1 1 -1
23.33  65  1 0 1
29.04  100  0 1 2
29.67  64  1 1 -2
30.46  99  0 2 0
37.11  48  1 1 2
38.65  60  2 1 -2
45.77  52  2 2 0
50.33  39  2 1 2

----------

Record 1
This entry pairs a crystal structure of KAg2AsS3 with its computed powder XRD pattern. Radiation: Cu Kα (λ = 1.5418 Å). Structure: a GGA-PBE-relaxed structure.

Principal peaks in the range 10 to 90 degrees two-theta, most intense first:
- (1 1 3), 28.76°, rel. 100
- (1 0 -3), 28.56°, rel. 92
- (0 3 1), 29.65°, rel. 91
- (2 1 0), 28.10°, rel. 86
- (1 0 3), 27.34°, rel. 68
- (2 0 0), 26.41°, rel. 67
- (1 1 -3), 30.30°, rel. 67
- (2 -2 0), 32.81°, rel. 57

```
data_KAg2AsS3
_space_group_name_H-M_alt 'P -1'
_space_group_IT_number 2
_space_group_name_Hall '-P 1'
_cell_length_a 6.758
_cell_length_b 9.341
_cell_length_c 10.889
_cell_angle_alpha 88.52
_cell_angle_beta 87.17
_cell_angle_gamma 89.65
loop_
_atom_site_label
_atom_site_fract_x
_atom_site_fract_y
_atom_site_fract_z
_atom_site_occupancy
K1 0.210 0.429 0.379 1
K2 0.289 0.569 0.865 1
Ag1 0.011 0.091 0.155 1
Ag2 0.088 0.846 0.454 1
Ag3 0.420 0.149 0.950 1
Ag4 0.484 0.257 0.649 1
As1 0.046 0.790 0.161 1
As2 0.479 0.939 0.646 1
S1 0.107 0.295 0.004 1
S2 0.116 0.325 0.673 1
S3 0.183 0.093 0.355 1
S4 0.341 0.665 0.160 1
S5 0.367 0.723 0.574 1
S6 0.372 0.908 0.848 1
```

Record 2
This entry pairs a crystal structure of NaLuZnS3 with its computed powder XRD pattern. Radiation: Cu Kα (λ = 1.5418 Å). Structure: a GGA-PBE-relaxed structure.

Principal peaks in the range 10 to 90 degrees two-theta, most intense first:
- (1 0 -1), 12.98°, rel. 100
- (0 2 0), 46.83°, rel. 27
- (2 1 0), 32.99°, rel. 26
- (2 1 -1), 32.54°, rel. 23
- (1 1 -3), 36.90°, rel. 16
- (1 1 1), 28.73°, rel. 15
- (0 0 3), 29.38°, rel. 15
- (0 1 2), 30.25°, rel. 14

```
data_NaLuZnS3
_space_group_name_H-M_alt 'P 1 21/m 1'
_space_group_IT_number 11
_space_group_name_Hall '-P 2yb'
_cell_length_a 7.900
_cell_length_b 3.878
_cell_length_c 9.475
_cell_angle_alpha 90.00
_cell_angle_beta 105.70
_cell_angle_gamma 90.00
loop_
_atom_site_label
_atom_site_fract_x
_atom_site_fract_y
_atom_site_fract_z
_atom_site_occupancy
Na1 0.196 0.250 0.195 1
Lu1 0.329 0.750 0.854 1
Zn1 0.082 0.250 0.604 1
S1 0.090 0.250 0.850 1
S2 0.223 0.750 0.545 1
S3 0.439 0.750 0.146 1
```

Record 3
********

(Here it is)
Most intense lines, 2θ from 10° to 90°, by angle: